........
No. 1
Density functional theory data (wB97M-V/def2-TZVPD) for a molecular structure, C2H5PSi.

Structure (XYZ):
```
9
Properties=species:S:1:pos:R:3
C 0.03 0.14 0.73
C 0.00 0.40 -0.74
Si -1.40 -0.74 -0.08
P 1.34 -0.65 -0.31
H 0.32 0.87 1.50
H 0.03 1.43 -0.94
H -1.02 -1.99 -0.64
H -2.65 -0.19 0.49
H 3.35 0.73 -0.01
```

Its energy above the lowest of the compared OMol25 structures with the same formula, charge and spin is 66.7 kcal/mol. The value obtained for the gap between HOMO and LUMO (spin up / spin down) is 7.60 / 8.35 eV.

No. 2
Density functional theory data (wB97M-V/def2-TZVPD) for 13 unconnected molecules or ions with the total composition C52H78O26.

Structure (XYZ):
```
156
Properties=species:S:1:pos:R:3
O 2.66 5.28 -3.13
C 1.98 5.15 -2.11
O 1.18 6.10 -1.66
C 0.42 5.71 -0.51
C 0.72 4.24 -0.31
C 1.94 3.99 -1.19
H -0.64 5.83 -0.72
H 0.77 6.34 0.32
H -0.12 3.68 -0.70
H 0.84 3.86 0.71
H 1.76 3.17 -1.87
H 2.92 3.97 -0.71
O -2.57 2.35 -6.81
C -1.92 2.08 -5.79
O -1.94 2.80 -4.65
C -1.08 2.28 -3.65
C -0.17 1.27 -4.41
C -1.07 0.84 -5.61
H -1.75 1.84 -2.91
H -0.47 3.00 -3.10
H 0.15 0.45 -3.77
H 0.80 1.64 -4.73
H -1.71 -0.02 -5.41
H -0.45 0.72 -6.50
O 4.61 -1.95 -4.72
C 4.14 -2.79 -3.99
O 3.77 -4.02 -4.36
C 3.12 -4.72 -3.34
C 3.14 -3.87 -2.12
C 3.99 -2.65 -2.46
H 3.71 -5.60 -3.11
H 2.08 -4.93 -3.58
H 3.37 -4.41 -1.19
H 2.10 -3.60 -1.96
H 4.94 -2.77 -1.95
H 3.55 -1.67 -2.27
O -4.29 -1.05 -4.85
C -3.85 -1.16 -3.65
O -3.42 -0.12 -2.99
C -3.14 -0.39 -1.60
C -3.70 -1.79 -1.39
C -3.70 -2.39 -2.77
H -3.56 0.35 -0.92
H -2.06 -0.44 -1.47
H -4.70 -1.89 -0.98
H -3.10 -2.30 -0.63
H -4.41 -3.19 -2.95
H -2.73 -2.79 -3.07
O -5.89 -2.93 5.84
C -5.82 -2.62 4.66
O -5.07 -3.30 3.75
C -5.24 -2.79 2.44
C -6.05 -1.60 2.46
C -6.54 -1.49 3.87
H -5.69 -3.58 1.84
H -4.26 -2.63 1.99
H -6.77 -1.51 1.65
H -5.38 -0.78 2.20
H -7.61 -1.66 3.99
H -6.36 -0.50 4.31
O -1.80 -1.57 1.37
C -0.83 -0.95 0.96
O -0.22 -1.44 -0.13
C 0.89 -0.62 -0.53
C 0.57 0.75 0.07
C -0.14 0.37 1.38
H 0.98 -0.56 -1.62
H 1.81 -1.10 -0.21
H -0.03 1.27 -0.67
H 1.41 1.41 0.25
H -0.86 1.14 1.63
H 0.60 0.18 2.16
O -4.93 0.87 6.55
C -4.66 1.41 5.49
O -4.21 0.77 4.39
C -3.94 1.64 3.32
C -4.70 2.90 3.63
C -4.70 2.90 5.16
H -4.20 1.28 2.33
H -2.90 1.94 3.25
H -5.73 2.81 3.27
H -4.12 3.78 3.34
H -5.62 3.32 5.58
H -3.80 3.21 5.69
O 0.34 -6.58 1.40
C -0.20 -6.02 0.46
O 0.46 -5.83 -0.77
C -0.36 -5.17 -1.68
C -1.78 -5.41 -1.23
C -1.62 -5.44 0.30
H -0.22 -5.47 -2.72
H -0.07 -4.13 -1.67
H -2.13 -6.36 -1.65
H -2.58 -4.76 -1.58
H -2.29 -6.11 0.83
H -1.76 -4.49 0.80
O 2.98 1.06 -2.68
C 4.14 1.47 -2.99
O 5.27 0.90 -2.52
C 6.40 1.46 -3.22
C 5.76 2.03 -4.46
C 4.38 2.54 -4.02
H 7.15 0.72 -3.50
H 6.94 2.15 -2.57
H 5.87 1.28 -5.24
H 6.35 2.91 -4.72
H 3.66 2.58 -4.83
H 4.34 3.57 -3.69
O 4.92 2.21 1.26
C 5.52 1.20 0.93
O 6.79 1.12 0.79
C 7.20 -0.28 0.74
C 6.00 -0.96 0.01
C 4.84 -0.11 0.53
H 7.39 -0.73 1.71
H 7.96 -0.45 -0.03
H 5.90 -2.02 0.27
H 6.14 -0.92 -1.07
H 4.39 -0.51 1.44
H 4.07 0.13 -0.20
O 3.24 -2.76 0.88
C 2.64 -3.42 1.72
O 1.53 -2.99 2.21
C 1.00 -3.75 3.32
C 2.22 -4.51 3.83
C 3.19 -4.58 2.62
H 0.17 -4.37 2.98
H 0.57 -3.08 4.07
H 1.84 -5.48 4.14
H 2.72 -3.97 4.64
H 3.05 -5.51 2.05
H 4.23 -4.43 2.89
O -2.35 3.46 1.26
C -3.14 3.95 0.40
O -2.76 4.00 -0.84
C -3.75 4.55 -1.68
C -4.82 5.09 -0.79
C -4.60 4.41 0.54
H -4.20 3.70 -2.20
H -3.25 5.29 -2.30
H -5.82 4.88 -1.17
H -4.64 6.16 -0.76
H -5.11 3.47 0.71
H -4.74 5.02 1.43
O -0.67 2.56 5.18
C 0.44 2.16 4.83
O 0.82 0.95 5.03
C 2.11 0.69 4.56
C 2.43 1.84 3.66
C 1.51 2.95 4.16
H 2.20 -0.25 4.02
H 2.76 0.69 5.44
H 2.16 1.61 2.63
H 3.46 2.21 3.73
H 1.14 3.56 3.33
H 1.93 3.57 4.95
```

Its energy above the lowest of the compared OMol25 structures with the same formula, charge and spin is 74.7 kcal/mol. The value obtained for the gap between HOMO and LUMO is 9.84 eV.

No. 3
Density functional theory data (wB97M-V/def2-TZVPD) for C9H8N4 in the gas phase.

Structure (XYZ):
```
21
Properties=species:S:1:pos:R:3
N -1.95 -2.22 -3.20
C -1.30 -1.57 -2.19
........
Could you count the lines further above that contain the word "formula" and give the number alone?
2